- - -
Entry 1:
Computed, not measured: a molecular structure, C5H5ClN, with ωB97M-V/def2-TZVPD.

```
12
Properties=species:S:1:pos:R:3:lowdin_charge:R:1
Cl -9.1308 20.3814 -19.1735 -0.16
N -6.4346 20.2726 -17.0502 0.04
C -5.3969 20.8162 -16.3511 -0.18
C -5.3098 22.1840 -16.0529 -0.12
C -6.2823 23.0107 -16.6457 -0.13
C -7.3615 22.4968 -17.3682 -0.08
C -7.3579 21.0990 -17.5760 -0.31
H -4.8282 20.0684 -15.8183 0.08
H -4.5331 22.5555 -15.4009 0.07
H -6.3998 24.0431 -16.3509 0.08
H -8.1613 23.1890 -17.5865 0.09
H -8.1950 20.6191 -18.0611 -0.38
```

The calculation puts the LUMO energy at 3.8 eV. The spin multiplicity is 1. The gap between HOMO and LUMO comes out at 0.2428 Eh. The energy relative to the best compared isomer or geometry (same formula, charge and spin) comes out at 53.9 kcal per mole. Its total charge is -1. Its HOMO energy is -2.83 eV. As for the calculated total energy: -19278.269 eV.



Entry 2:
Computed, not measured: a molecular structure, C22H17Br2N6NdO4S2, with ωB97M-V/def2-TZVPD.

```
54
Properties=species:S:1:pos:R:3:lowdin_spin:R:1
Nd 1.3985 0.9354 -0.8909 3.03
Br 4.3926 1.1016 -1.9830 0.00
C 3.9636 2.6236 -3.0872 0.00
Br 2.0472 2.9011 -3.1432 0.00
H 4.2952 2.4186 -4.1008 0.00
H 4.4136 3.5103 -2.6528 0.00
O -0.8683 0.5875 5.6735 0.00
N -1.5646 1.3787 5.0819 0.00
O -2.6066 1.8270 5.4743 0.00
C -1.1469 1.7526 3.7150 0.00
C -2.1303 2.1527 2.8866 0.00
C -1.8364 2.4962 1.5287 0.00
C -2.8167 2.9895 0.6551 0.00
C -2.4597 3.3685 -0.6165 0.00
C -1.1251 3.2296 -0.9955 0.00
N -0.1755 2.7415 -0.2081 0.00
C -0.5212 2.3816 1.0580 0.00
C 0.5156 1.9124 1.9494 0.00
N 1.7643 1.7663 1.4300 0.00
C 2.7659 1.4681 2.2524 0.00
C 2.5910 1.3023 3.6206 0.00
C 1.3206 1.3628 4.1461 0.00
C 0.2331 1.6509 3.3052 0.00
H -3.1444 2.2230 3.2577 0.00
H -3.8384 3.0850 0.9973 0.00
H -3.1777 3.7793 -1.3101 0.00
H -0.8141 3.5399 -1.9886 0.00
H 3.7489 1.3697 1.8045 0.00
H 3.4418 1.1017 4.2537 0.00
H 1.1614 1.1980 5.2004 0.00
N -3.7123 -5.0446 -3.7423 0.00
C -2.9032 -4.1126 -3.2130 0.00
C -1.5136 -4.3541 -3.1026 0.00
C -0.6887 -3.4064 -2.5573 0.00
C -1.2370 -2.1973 -2.1141 0.00
C -2.6051 -1.9337 -2.2149 0.00
C -3.4315 -2.8855 -2.7565 0.00
S -0.2099 -1.0269 -1.4117 0.00
O -0.8789 0.2877 -1.3439 0.00
O 1.0227 -0.8109 -2.2299 0.00
N 0.2438 -1.3125 0.0599 0.00
C 1.5400 -1.6760 0.3966 0.00
S 1.9244 -3.1116 1.2375 0.00
C 3.5785 -2.6502 1.2459 0.00
C 3.7401 -1.4560 0.6337 0.00
N 2.5742 -0.8905 0.1631 0.00
H -3.3515 -5.9143 -4.0914 0.00
H -4.6979 -4.8809 -3.8455 0.00
H -1.1072 -5.2911 -3.4549 0.00
H 0.3726 -3.5937 -2.4803 0.00
H -3.0058 -0.9919 -1.8704 0.00
H -4.4925 -2.6990 -2.8423 0.00
H 4.3308 -3.2649 1.7039 0.00
H 4.6806 -0.9387 0.5164 0.00
```

The calculation puts the LUMO energy (alpha / beta) at -6.3 / -6.3 eV. The spin multiplicity is 4. The gap between HOMO and LUMO (alpha / beta) comes out at 0.2511 / 0.2514 Eh. The energy relative to the best compared isomer or geometry (same formula, charge and spin) comes out at 11.1 kcal per mole. Its total charge is +2. Its HOMO energy (alpha / beta) is -13.09 / -13.09 eV. As for the calculated total energy: -217238.758 eV. The expectation value of S² is 3.753.



Entry 3:
Computed, not measured: a molecular structure, C24H31IN3O4RuS4, with ωB97M-V/def2-TZVPD.

```
68
Properties=species:S:1:pos:R:3:lowdin_spin:R:1
Ru -1.6039 0.2149 1.3578 3.65
C -0.7482 1.1003 4.7831 0.01
C -2.2116 1.5745 4.8080 0.01
S -3.1766 1.5265 3.2645 0.12
C -3.2190 3.2792 2.7753 0.01
C -2.9356 3.5083 1.2991 0.01
S -1.4316 2.7551 0.6366 0.12
C -0.0592 3.4927 1.5546 0.01
C 0.1661 3.0497 2.9979 0.01
S 0.1664 1.2473 3.2344 0.08
H -0.6811 0.0411 5.0217 0.00
H -0.1801 1.6231 5.5526 0.00
H -2.3000 2.5903 5.1859 0.00
H -2.7615 0.9371 5.4982 0.00
H -2.5335 3.8323 3.4087 0.00
H -4.2261 3.6345 2.9902 0.00
H -2.8829 4.5760 1.0864 0.00
H -3.7262 3.0877 0.6765 0.00
H -0.2029 4.5721 1.5105 0.00
H 0.8122 3.2567 0.9423 0.00
H -0.5708 3.4706 3.6754 0.00
H 1.1464 3.4035 3.3165 0.00
I -1.8433 -2.0243 3.3040 0.20
C -2.9966 -3.0914 1.9088 0.01
- - -

Start at the top of the listing earlier on and set down each line, ending with the one that has "3.2577 0.00".

Entry 1:
Computed, not measured: a molecular structure, C5H5ClN, with ωB97M-V/def2-TZVPD.

```
12
Properties=species:S:1:pos:R:3:lowdin_charge:R:1
Cl -9.1308 20.3814 -19.1735 -0.16
N -6.4346 20.2726 -17.0502 0.04
C -5.3969 20.8162 -16.3511 -0.18
C -5.3098 22.1840 -16.0529 -0.12
C -6.2823 23.0107 -16.6457 -0.13
C -7.3615 22.4968 -17.3682 -0.08
C -7.3579 21.0990 -17.5760 -0.31
H -4.8282 20.0684 -15.8183 0.08
H -4.5331 22.5555 -15.4009 0.07
H -6.3998 24.0431 -16.3509 0.08
H -8.1613 23.1890 -17.5865 0.09
H -8.1950 20.6191 -18.0611 -0.38
```

The calculation puts the LUMO energy at 3.8 eV. The spin multiplicity is 1. The gap between HOMO and LUMO comes out at 0.2428 Eh. The energy relative to the best compared isomer or geometry (same formula, charge and spin) comes out at 53.9 kcal per mole. Its total charge is -1. Its HOMO energy is -2.83 eV. As for the calculated total energy: -19278.269 eV.



Entry 2:
Computed, not measured: a molecular structure, C22H17Br2N6NdO4S2, with ωB97M-V/def2-TZVPD.

```
54
Properties=species:S:1:pos:R:3:lowdin_spin:R:1
Nd 1.3985 0.9354 -0.8909 3.03
Br 4.3926 1.1016 -1.9830 0.00
C 3.9636 2.6236 -3.0872 0.00
Br 2.0472 2.9011 -3.1432 0.00
H 4.2952 2.4186 -4.1008 0.00
H 4.4136 3.5103 -2.6528 0.00
O -0.8683 0.5875 5.6735 0.00
N -1.5646 1.3787 5.0819 0.00
O -2.6066 1.8270 5.4743 0.00
C -1.1469 1.7526 3.7150 0.00
C -2.1303 2.1527 2.8866 0.00
C -1.8364 2.4962 1.5287 0.00
C -2.8167 2.9895 0.6551 0.00
C -2.4597 3.3685 -0.6165 0.00
C -1.1251 3.2296 -0.9955 0.00
N -0.1755 2.7415 -0.2081 0.00
C -0.5212 2.3816 1.0580 0.00
C 0.5156 1.9124 1.9494 0.00
N 1.7643 1.7663 1.4300 0.00
C 2.7659 1.4681 2.2524 0.00
C 2.5910 1.3023 3.6206 0.00
C 1.3206 1.3628 4.1461 0.00
C 0.2331 1.6509 3.3052 0.00
H -3.1444 2.2230 3.2577 0.00